Say how many lines of the rows underneath hold the word "The", as a bare number.

........
Record 1
Computed, not measured: a relaxed structure of Bi2Te2N at the PBE-GGA level of DFT.

Structure (POSCAR):
```
Bi2Te2N
1.0
6.513 0.000 0.000
0.000 6.513 0.000
0.000 0.000 6.428
Bi Te N
4 4 2
direct
0.249 0.251 0.000
0.251 0.751 0.000
0.749 0.249 0.000
0.751 0.749 0.000
0.250 0.250 0.500
0.250 0.750 0.500
0.750 0.250 0.500
0.750 0.750 0.500
0.000 0.000 0.500
0.500 0.500 0.500
```

Results
Its calculated volume is 27.267 A^3/atom. For the density of states at the Fermi level, the calculation gives 1.40 states/eV/f.u. Its crystal system is tetragonal. The uncorrected formation energy is 0.54 eV/atom. As for the energy relative to the lowest polymorph listed for this composition: 0.050 eV/atom.

***

Record 2
Computed, not measured: a relaxed structure of CaReAg at the PBE-GGA level of DFT.

Structure (POSCAR):
```
CaReAg
1.0
0.000 3.325 3.325
3.325 0.000 3.325
3.325 3.325 0.000
Ca Re Ag
1 1 1
direct
0.000 0.000 0.000
0.500 0.500 0.500
0.250 0.250 0.250
```

Results
The energy relative to the elements is 28.46 kcal/mol of atoms. Its calculated volume is 24.508 A^3/atom. For the density of states at the Fermi level, the calculation gives 2.69 states/eV/f.u. Its crystal system is cubic. As for the energy relative to the lowest polymorph listed for this composition: 0.631 eV/atom.

***

Record 3
Computed, not measured: a relaxed structure of Li3BiP2O8 at the PBE-GGA level of DFT.

Structure (POSCAR):
```
Li3BiP2O8
1.0
6.871 0.000 0.000
0.000 5.346 0.000
-1.151 0.000 9.365
Li Bi P O
6 2 4 16
direct
0.041 0.250 0.214
0.205 0.250 0.939
0.226 0.750 0.460
0.774 0.250 0.540
0.795 0.750 0.061
0.959 0.750 0.786
0.489 0.250 0.235
0.511 0.750 0.765
0.236 0.250 0.554
0.284 0.750 0.050
0.716 0.250 0.950
0.764 0.750 0.446
0.041 0.250 0.614
0.197 0.508 0.109
0.197 0.992 0.109
0.221 0.250 0.388
0.226 0.750 0.883
0.355 0.008 0.601
0.355 0.492 0.601
0.490 0.250 0.914
0.510 0.750 0.086
0.645 0.508 0.399
0.645 0.992 0.399
0.774 0.250 0.117
0.779 0.750 0.612
0.803 0.008 0.891
0.803 0.492 0.891
0.959 0.750 0.386
```

Results
Its calculated volume is 12.286 A^3/atom. For the density of states at the Fermi level, the calculation gives 0.00 states/eV/f.u. Its crystal system is monoclinic. The uncorrected formation energy is -2.11 eV/atom. As for the energy relative to the lowest polymorph listed for this composition: 0.065 eV/atom.

***

Record 4
Computed, not measured: a relaxed structure of NdYTe2Se at the PBE-GGA level of DFT.

Structure (POSCAR):
```
NdYTe2Se
1.0
4.371 0.000 0.000
0.000 4.371 0.000
0.000 0.000 15.674
Nd Y Te Se
2 2 4 2
direct
0.250 0.250 0.132
0.750 0.750 0.868
0.250 0.250 0.590
0.750 0.750 0.410
0.250 0.250 0.391
0.250 0.250 0.789
0.750 0.750 0.211
0.750 0.750 0.609
0.250 0.750 0.000
0.750 0.250 0.000
```

Results
Its calculated volume is 29.951 A^3/atom. For the density of states at the Fermi level, the calculation gives 1.87 states/eV/f.u. Its crystal system is tetragonal. The uncorrected formation energy is -1.43 eV/atom.

***

Record 5
Computed, not measured: a relaxed structure of PrB2Pt8 at the PBE-GGA level of DFT.

Structure (POSCAR):
```
PrB2Pt8
1.0
5.307 0.000 0.000
0.000 5.307 0.000
0.000 0.000 7.548
Pr B Pt
1 2 8
direct
0.000 0.000 0.000
0.000 0.500 0.500
0.500 0.000 0.500
0.252 0.252 0.316
0.252 0.252 0.684
0.252 0.748 0.316
0.252 0.748 0.684
0.748 0.252 0.316
0.748 0.252 0.684
0.748 0.748 0.316
0.748 0.748 0.684
```

Results
The energy relative to the elements is -0.92 kcal/mol of atoms. Its calculated volume is 19.329 A^3/atom. For the density of states at the Fermi level, the calculation gives 10.12 states/eV/f.u. Its crystal system is tetragonal.

***

Record 6
Computed, not measured: a relaxed structure of Nd2MgAs3Pd4 at the PBE-GGA level of DFT.

Structure (POSCAR):
```
Nd2MgAs3Pd4
1.0
4.220 0.000 0.000
0.000 4.220 0.000
0.000 0.000 11.051
Nd Mg As Pd
2 1 3 4
direct
0.000 0.500 0.225
0.500 0.000 0.775
0.000 0.000 0.500
0.000 0.500 0.863
0.500 0.000 0.137
0.500 0.500 0.500
0.000 0.000 0.000
0.000 0.500 0.641
........

5